What should we expect at an international trade fair? All our preparations to present in front of international trade fair visitors revolved around this very question. We were unsure what to expect from the several thousand visitors, who would frequent the fair in the next three of four days. What questions would they ask? What should we tell them? What would we show them? And, above all,who do we want to see at our stall? On our first three international trade fairs we gathered some experience and are now able to at least partially answer these questions. The Sächsische Aufbaubank (SAB) supplied us with funds to finance our exhibition at the trade fairs.
Continue reading “First international trade fair experiences”How we set up our new workshop
You already saw our new workshop on the premises of the TU Bergakademie Freiberg in our Facebook-Post. Little by little we set it up. The rolling machine was the first to move in from our office. We also built a huge a workbench. Soon this is where we will glue together the special film that makes our CompactChart unique..

But where do our tools come from?
Continue reading “How we set up our new workshop”Time flies – six months of EXIST grant
Once upon a time there was a young flipchart called Philip. And Philip’s dream was to fly. All his cousins laughed at him for his dream, after all, how was he supposed to fly? “You can stand and roll – but fly? Flying is just for dreamers! Look in the mirror, Philip!”
But Philip held onto his dream and, instead of catching dust, hit the road, meeting the inventors of “CompactChart”, who were headed in the same direction. It’s less lonely together!
Continue reading “Time flies – six months of EXIST grant””A photoshoot” – just what we needed
Our website, promo material, and social media were in dire need of up-to-date pictures of our current team and the weather this summer was superb, outright perfect for a photoshoot. Anny, Sanny’s longtime companion, had a splendid idea: She suggested they ought to have their pictures taken on the grounds of the disused mine “Alte Elisabeth” in Freiberg. The site commands a fine view of the historic town of Freiberg and provides intriguing backdrops with industrial charm. The setting was great: the sun was shining and there were hardly any visitors on the premises, which enabled us to roam about freely and remain undisturbed.
We won’t keep you on tenterhooks any longer! Check out these great pictures that were edited by a professional. We would also like to express our gratitude to Anny, who took these the lovely pictures.
== Records of crystals, as found in the file ==
'''
1.
This record from the Materials Project database describes a geometry-optimized Yb3V structure. The functional is meta-GGA r2SCAN.

The structure in extended XYZ format:
```
4
Lattice="-1.421 -2.077 4.013 -3.587 -2.040 -2.326 2.748 -3.737 -0.961" Properties=species:S:1:pos:R:3 pbc="T T T"
Yb -0.420 -2.888 -1.644
Yb 0.664 -2.907 1.526
Yb -2.504 -2.059 0.844
V 0.000 0.000 0.000
```

Summary:
Polymorph energy (0 for the lowest one): 114 meV/atom
Formation energy from the elements: 237 meV per atom
Energy: -1.1276 hartree per atom
Magnetization: 1.2961 μB per atom


2.
This record from the Materials Project database describes a geometry-optimized Yb3V structure. The functional is meta-GGA r2SCAN.

The structure in extended XYZ format:
```
4
Lattice="0.000 3.716 3.716 3.716 0.000 3.716 3.716 3.716 0.000" Properties=species:S:1:pos:R:3 pbc="T T T"
Yb 1.858 1.858 1.858
Yb 5.574 5.574 5.574
Yb 3.716 3.716 3.716
V 0.000 0.000 0.000
```

Summary:
Polymorph energy (0 for the lowest one): 0 meV/atom
Formation energy from the elements: 123 meV per atom
Energy: -1.1318 hartree per atom
Magnetization: 0.9991 μB per atom


3.
This record from the Materials Project database describes a geometry-optimized Xe structure. The functional is meta-GGA r2SCAN.

The structure in extended XYZ format:
```
3
Lattice="3.812 1.069 -2.232 0.035 -3.331 3.092 -3.799 -8.770 -6.064" Properties=species:S:1:pos:R:3 pbc="T T T"
Xe 0.000 0.000 0.000
Xe 1.707 -2.830 -3.068
Xe -1.659 -8.201 -2.136
```

Summary:
Polymorph energy (0 for the lowest one): 0 meV/atom
Formation energy from the elements: 0 meV per atom
Energy: -0.8777 hartree per atom
Magnetization: 0.0000 μB per atom


Question: The highest formation energy from the elements belongs to which entry?
Answer: number 1

~~~~~

First-principles (PBE) data for Na5Ca2Y2P3S3O24 after structural relaxation, as listed in the Materials Project.

## Properties
* energy of formation from the pure elements: -267 kJ per mole of atoms
* volume: 15.21 Å³ per atom
* symmetry: No. 1
* electronic total energy: -787.01 eV/cell

POSCAR file:
```
Na5Ca2Y2P3S3O24
1.0
9.346 -0.006 -0.014
-4.679 8.090 -0.005
-0.035 -0.034 23.550
O Y Na Ca S P
72 6 15 6 9 9
Cartesian
1.941 5.208 20.301
8.398 1.510 21.487
0.761 7.026 1.832
-0.972 6.726 5.948
5.762 1.097 0.732
7.557 0.139 2.033
1.050 7.114 11.118
-0.822 7.025 13.592
4.048 1.135 21.705
6.369 2.781 21.636
0.992 6.740 17.766
0.729 1.633 9.744
-0.760 7.056 20.503
5.701 1.242 17.598
-0.856 1.671 4.742
6.555 2.484 12.519
5.417 4.273 17.551
5.515 4.384 0.842
1.044 3.801 8.678
-2.717 7.873 4.561
3.485 4.345 15.090
-0.814 3.880 5.999
1.765 5.598 5.982
-1.963 5.464 10.970
8.159 1.644 7.244
5.450 6.632 2.001
2.870 2.809 9.894
-0.877 3.846 13.647
3.812 1.146 5.783
8.360 1.320 13.791
1.752 0.177 13.824
7.399 0.071 18.998
2.679 2.797 3.174
5.445 1.228 9.848
0.878 7.138 8.559
3.521 1.120 12.531
3.542 6.624 21.488
3.863 4.349 5.751
0.825 1.808 16.295
0.878 3.585 11.091
1.078 1.394 2.007
-3.713 6.510 9.708
'''
Let’s smarten up
…we have made another big step. Up to now, all our samples had been manufactured using standard components, which we could easily customise and replace. Yet, despite colourful plastic panels and insets, we were often asked, if the CompactChart was also available in a pretty design and not so technical. The functionality has already convinced prospective customers, but there is always room for improvement – and improve we shall!
Time to say goodbye to our first office – a small review
What does the office of a StartUp actually look like? “Unfortunately, you can’t do everything in a workshop,” Sanny laughs. And because he is right, we would like to show you around our office.
Continue reading “Time to say goodbye to our first office – a small review”
After countless tries finally, a sample
For over a year we have been trying to adjust the joints of our functional sample. Unfortunately, Item’s standard joints as well as those provided by other manufacturers do not meet our requirements. That’s why we started designing our own. After joints manufactured using conventional 3-D printing processes and materials had failed because they did not exhibit the required strength, we tried to re-mill commercial joints to our needs. Sadly, these too were unstable… Continue reading “After countless tries finally, a sample”
Haven’t heard from us in a while?
Data records that have nothing to do with the page:
+++
Np2S5 after structural relaxation. Source: Materials Project, functional r²SCAN.

Cell: 7.418 9.894 7.531 Å, 90.00 90.00 90.00°
Atoms (fractional coordinates):
Np: 0.230 0.147 0.019
Np: 0.230 0.853 0.519
Np: 0.270 0.353 0.519
Np: 0.270 0.647 0.019
Np: 0.730 0.353 0.981
Np: 0.730 0.647 0.481
Np: 0.770 0.147 0.481
Np: 0.770 0.853 0.981
S: 0.000 0.251 0.750
S: 0.000 0.749 0.250
S: 0.099 0.399 0.149
S: 0.099 0.601 0.649
S: 0.136 0.107 0.387
S: 0.136 0.893 0.887
S: 0.364 0.393 0.887
S: 0.364 0.607 0.387
S: 0.401 0.101 0.649
S: 0.401 0.899 0.149
S: 0.500 0.249 0.250
S: 0.500 0.751 0.750
S: 0.599 0.101 0.851
S: 0.599 0.899 0.351
S: 0.636 0.393 0.613
S: 0.636 0.607 0.113
S: 0.864 0.107 0.113
S: 0.864 0.893 0.613
S: 0.901 0.399 0.351
S: 0.901 0.601 0.851

## Properties
The value obtained for the formation energy from the elements is -1.604 eV per atom. The volume comes out at 552.7 Å³ per cell. The spin magnetization is 24.0 μB/cell.

=====

First-principles (GGA+U) data for Ca2Fe2O5 after structural relaxation, as listed in the Materials Project.

Cell: 5.4623 10.4904 3.9358 Å, 90.00 90.00 90.00°
Positions (direct):
Ca 0.2216 0.1154 0.0000
Ca 0.2784 0.6154 0.0000
Ca 0.7216 0.3846 0.0000
+++
And yet a great deal has happened… We will give you a brief overview of the recent developments.
As described in our last post, we had requested a founding consultation with the SAB and finally received a positive reply. Now we can start working with our founder’s nest in Dresden on our financing, sales and marketing concepts.
Founding consultation grant
Last Monday, in a consultation with the IHK, we laid the groundwork to obtain our SAB “Founding consultation” grant. During the session, we stated wishes and problems that we needed advice on. By the end of August, we hope to submit the application to fund us to the Saxonian Development Bank (SAB) while at the same time looking for a suitable advisor on technical questions regarding our #CompactChart. We have already looked into multiple regional offers and will decide by the end of the month. Our focus will predominantly be on compiling a user manual. Also better usability of folding mechanism shall be addressed.
We are very excited about the results of the consultation and are looking forward to new impulses. Have you already subscribed to our Facebook page?
A team must grow
Today we held our first big team meeting. The goal was to get everyone up-to-date and conduct an analysis of our StartUp, to figure out where there was room for improvement. Now we are working on and ticking off those points one-by-one. We are currently preparing tenders, especially for the economic sector.
Are you looking for an internship or a place to write your thesis? We offer you an interesting job alongside the opportunity to actively participate in the development of the CompactChart and contribute your own ideas. All you have to do is to send us your application. There is a lot to do, so let’s get started.